### Exercise
Now transcribe every line below that contains the word "energy".

### Given
~~~
Here is a geometry-optimized Zr5GaSn3 structure from the Materials Project. Energies are from meta-GGA r2SCAN.

a = 8.6934 Å, b = 8.6934 Å, c = 5.8969 Å
α = 90.00°, β = 90.00°, γ = 120.00°
With the nearest neighbours (Å) after each atom.
Sites, in units of the cell vectors:
Zr: 0.0000 0.2649 0.2500  2 Ga 2.73, 3 Sn 2.99-3.01
Zr: 0.0000 0.7351 0.7500  2 Ga 2.73, 3 Sn 2.99-3.01
Zr: 0.2649 0.0000 0.2500  2 Ga 2.73, 3 Sn 2.99-3.01
Zr: 0.2649 0.2649 0.7500  2 Ga 2.73, 3 Sn 2.99-3.01
Zr: 0.3333 0.6667 0.0000  2 Zr 2.95, 6 Sn 3.07
Zr: 0.3333 0.6667 0.5000  2 Zr 2.95, 6 Sn 3.07
Zr: 0.6667 0.3333 0.0000  2 Zr 2.95, 6 Sn 3.07
Zr: 0.6667 0.3333 0.5000  2 Zr 2.95, 6 Sn 3.07
Zr: 0.7351 0.0000 0.7500  2 Ga 2.73, 3 Sn 2.99-3.01
Zr: 0.7351 0.7351 0.2500  2 Ga 2.73, 3 Sn 2.99-3.01
Ga: 0.0000 0.0000 0.0000  6 Zr 2.73, 2 Ga 2.95
Ga: 0.0000 0.0000 0.5000  6 Zr 2.73, 2 Ga 2.95
Sn: 0.0000 0.3886 0.7500  9 Zr 2.99-3.14
Sn: 0.0000 0.6114 0.2500  9 Zr 2.99-3.14
Sn: 0.3886 0.0000 0.7500  9 Zr 2.99-3.14
Sn: 0.3886 0.3886 0.2500  9 Zr 2.99-3.14
Sn: 0.6114 0.0000 0.2500  9 Zr 2.99-3.14
Sn: 0.6114 0.6114 0.7500  9 Zr 2.99-3.14

The calculated total energy comes out at -22.892 eV per atom. The calculation puts the energy of formation at -0.73 eV/atom.


Here is a geometry-optimized TaGa3 structure from the Materials Project. Energies are from meta-GGA r2SCAN.

a = 5.0940 Å, b = 5.0940 Å, c = 5.0940 Å
α = 136.32°, β = 136.32°, γ = 63.49°
With the nearest neighbours (Å) after each atom.
Sites, in units of the cell vectors:
Ta: 0.0000 0.0000 0.0000  12 Ga 2.68-2.88
Ga: 0.2500 0.7500 0.5000  8 Ga 2.68-2.88, 4 Ta 2.88
Ga: 0.5000 0.5000 0.0000  4 Ta 2.68, 8 Ga 2.88
Ga: 0.7500 0.2500 0.5000  8 Ga 2.68-2.88, 4 Ta 2.88

The calculated total energy comes out at -20.931 eV per atom. The calculation puts the energy of formation at -0.20 eV/atom.


Here is a geometry-optimized Ta5Ga3 structure from the Materials Project. Energies are from meta-GGA r2SCAN.

a = 7.6555 Å, b = 7.6555 Å, c = 7.6555 Å
α = 96.39°, β = 96.39°, γ = 141.03°
With the nearest neighbours (Å) after each atom.
Sites, in units of the cell vectors:
Ta: 0.0755 0.7782 0.8537  6 Ga 2.70-2.95, 3 Ta 2.93-2.98
Ta: 0.2218 0.0755 0.2972  6 Ga 2.70-2.95, 3 Ta 2.93-2.98
Ta: 0.2500 0.7500 0.5000  2 Ta 2.55, 4 Ga 2.71
Ta: 0.2782 0.5755 0.8537  6 Ga 2.70-2.95, 3 Ta 2.93-2.98
Ta: 0.4245 0.2782 0.7028  6 Ga 2.70-2.95, 3 Ta 2.93-2.98
Ta: 0.5755 0.7218 0.2972  6 Ga 2.70-2.95, 3 Ta 2.93-2.98
Ta: 0.7218 0.4245 0.1463  6 Ga 2.70-2.95, 3 Ta 2.93-2.98
Ta: 0.7500 0.2500 0.5000  2 Ta 2.55, 4 Ga 2.71
Ta: 0.7782 0.9245 0.7028  6 Ga 2.70-2.95, 3 Ta 2.93-2.98
Ta: 0.9245 0.2218 0.1463  6 Ga 2.70-2.95, 3 Ta 2.93-2.98
Ga: 0.1656 0.3344 0.5000  10 Ta 2.70-2.95
Ga: 0.2500 0.2500 0.0000  2 Ga 2.55, 8 Ta 2.71
Ga: 0.3344 0.8344 0.1688  10 Ta 2.70-2.95
Ga: 0.6656 0.1656 0.8312  10 Ta 2.70-2.95
Ga: 0.7500 0.7500 0.0000  2 Ga 2.55, 8 Ta 2.71
Ga: 0.8344 0.6656 0.5000  10 Ta 2.70-2.95

The calculated total energy comes out at -34.979 eV per atom. The calculation puts the energy of formation at -0.32 eV/atom.


Here is a geometry-optimized TbGa3 structure from the Materials Project. Energies are from meta-GGA r2SCAN.

a = 4.2551 Å, b = 4.2551 Å, c = 4.2551 Å
α = 90.00°, β = 90.00°, γ = 90.00°
With the nearest neighbours (Å) after each atom.
Sites, in units of the cell vectors:
Tb: 0.0000 0.0000 0.0000  12 Ga 3.01
Ga: 0.0000 0.5000 0.5000  4 Tb 3.01, 8 Ga 3.01
Ga: 0.5000 0.0000 0.5000  4 Tb 3.01, 8 Ga 3.01
Ga: 0.5000 0.5000 0.0000  4 Tb 3.01, 8 Ga 3.01

The calculated total energy comes out at -16.943 eV per atom. The calculation puts the energy of formation at -0.55 eV/atom.


Here is a geometry-optimized Tb3Ga5 structure from the Materials Project. Energies are from meta-GGA r2SCAN.

a = 11.4503 Å, b = 9.6423 Å, c = 6.1153 Å
α = 90.00°, β = 90.00°, γ = 90.00°
With the nearest neighbours (Å) after each atom.
Sites, in units of the cell vectors:
Tb: 0.0773 0.2500 0.1511  8 Ga 2.85-3.18
Tb: 0.1487 0.5101 0.6115  10 Ga 2.98-3.32
~~~

### Here it is
The calculated total energy comes out at -22.892 eV per atom. The calculation puts the energy of formation at -0.73 eV/atom.
The calculated total energy comes out at -20.931 eV per atom. The calculation puts the energy of formation at -0.20 eV/atom.
The calculated total energy comes out at -34.979 eV per atom. The calculation puts the energy of formation at -0.32 eV/atom.
The calculated total energy comes out at -16.943 eV per atom. The calculation puts the energy of formation at -0.55 eV/atom.